Start at the top of the block further down and reproduce each line, ending with the one that has "1), 1.322", please.

____________
Theoretical PXRD pattern of K5Re2N6 for CuKα, from a DFT-relaxed cell (PBE, Alexandria).
No peak broadening, texture or thermal motion is included.

Most intense lines, 2θ from 10° to 90°, in order of falling intensity:
2θ = 15.7°, intensity 100; 2θ = 31.4°, intensity 69; 2θ = 27.4°, intensity 59; 2θ = 16.2°, intensity 54; 2θ = 16.7°, intensity 53; 2θ = 12.0°, intensity 44; 2θ = 29.2°, intensity 27; 2θ = 18.4°, intensity 27; 2θ = 20.1°, intensity 27; 2θ = 18.6°, intensity 26; 2θ = 30.8°, intensity 24; 2θ = 34.1°, intensity 20

```
K5Re2N6
1.0
5.535 -3.498 0.000
5.535 3.498 0.000
-2.485 0.000 14.707
K Re N
10 4 12
Direct
0.100 0.900 0.750
0.175 0.701 0.005
0.292 0.406 0.288
0.299 0.825 0.495
0.406 0.292 0.788
0.594 0.708 0.212
0.701 0.175 0.505
0.708 0.594 0.712
0.825 0.299 0.995
0.900 0.100 0.250
0.135 0.415 0.577
0.415 0.135 0.077
0.585 0.865 0.923
0.865 0.585 0.423
0.100 0.224 0.642
0.148 0.315 0.447
0.224 0.100 0.142
0.315 0.148 0.947
0.363 0.488 0.626
0.488 0.363 0.126
0.512 0.637 0.874
0.637 0.512 0.374
0.685 0.852 0.053
0.776 0.900 0.858
0.852 0.685 0.553
0.900 0.776 0.358
```

=====

[1]
For GdHCO4, a structure optimized by DFT (PBE) gives the simulated X-ray powder pattern in this record (Cu Kα (weighted mean of Kα1 and Kα2)).

Structure:
Lattice parameters (Å, degrees): 4.917 7.164 8.611 90.00 90.00 90.00
Space group P2_12_12_1 (No. 19)
One atom of each set of equivalent atoms:
Gd 0.002 0.111 0.162 (multiplicity 4)
H 0.102 0.746 0.030 (multiplicity 4)
C 0.001 0.551 0.672 (multiplicity 4)
O 0.001 0.954 0.702 (multiplicity 4)
O 0.006 0.293 0.383 (multiplicity 4)
O 0.225 0.096 0.896 (multiplicity 4)
O 0.231 0.596 0.608 (multiplicity 4)

Main lines, low angle first (2θ from 10° to 80°):
(0 1 1), 5.508 Å, 2θ = 16.1°, intensity 46
(1 0 1), 4.270 Å, 2θ = 20.8°, intensity 100
(1 1 1), 3.668 Å, 2θ = 24.3°, intensity 52
(0 2 1), 3.307 Å, 2θ = 27.0°, intensity 47
(1 2 0), 2.895 Å, 2θ = 30.9°, intensity 62
(1 1 3), 2.343 Å, 2θ = 38.4°, intensity 47
(2 1 2), 2.046 Å, 2θ = 44.3°, intensity 40
(2 2 1), 1.973 Å, 2θ = 46.0°, intensity 41

---

[2]
For Er2IrPd, a structure optimized by DFT (PBE) gives the simulated X-ray powder pattern in this record (Cu Kα (weighted mean of Kα1 and Kα2)).

Structure:
Lattice parameters (Å, degrees): 6.867 6.867 6.867 90.00 90.00 90.00
Space group Fm-3m (No. 225)
One atom of each set of equivalent atoms:
Er 0.250 0.250 0.250 (multiplicity 8)
Ir 0.000 0.000 0.000 (multiplicity 4)
Pd 0.000 0.000 0.500 (multiplicity 4)

Main lines, low angle first (2θ from 10° to 80°):
(1 1 1), 3.965 Å, 2θ = 22.4°, intensity 4
(2 2 0), 2.428 Å, 2θ = 37.0°, intensity 100
(3 1 1), 2.071 Å, 2θ = 43.7°, intensity 2
(4 0 0), 1.717 Å, 2θ = 53.4°, intensity 18
(3 3 1), 1.575 Å, 2θ = 58.6°, intensity 1
(4 2 2), 1.402 Å, 2θ = 66.7°, intensity 36
(5 1 1), 1.322 Å, 2θ = 71.4°, intensity 1
(4 4 0), 1.214 Å, 2θ = 78.8°, intensity 11

---

[3]
For In2Rh3S2, a structure optimized by DFT (PBE) gives the simulated X-ray powder pattern in this record (Cu Kα (weighted mean of Kα1 and Kα2)).

Structure:
Lattice parameters (Å, degrees): 5.7000 5.7000 13.7119 90.00 90.00 120.00
Space group R-3m (No. 166, hexagonal axes)
One atom of each set of equivalent atoms:
In 0.0000 0.0000 0.0000 (multiplicity 3)
In 0.0000 0.0000 0.5000 (multiplicity 3)
Rh 0.0000 0.5000 0.0000 (multiplicity 9)
S 0.0000 0.0000 0.2154 (multiplicity 6)

Main lines, low angle first (2θ from 10° to 80°):
(0 0 3), 4.571 Å, 2θ = 19.4°, intensity 62
(1 1 0), 2.850 Å, 2θ = 31.4°, intensity 28
(0 2 1), 2.429 Å, 2θ = 37.0°, intensity 52
(2 0 2), 2.322 Å, 2θ = 38.8°, intensity 100
(0 0 6), 2.285 Å, 2θ = 39.4°, intensity 37
(0 2 4), 2.003 Å, 2θ = 45.3°, intensity 92
(2 2 0), 1.425 Å, 2θ = 65.5°, intensity 32
(2 2 6), 1.209 Å, 2θ = 79.2°, intensity 29

---

[4]
For CeAl2Pt, a structure optimized by DFT (PBE) gives the simulated X-ray powder pattern in this record (Cu Kα (weighted mean of Kα1 and Kα2)).

Structure:
Lattice parameters (Å, degrees): 4.275 10.637 7.040 90.00 90.00 90.00
____________

Theoretical PXRD pattern of K5Re2N6 for CuKα, from a DFT-relaxed cell (PBE, Alexandria).
No peak broadening, texture or thermal motion is included.

Most intense lines, 2θ from 10° to 90°, in order of falling intensity:
2θ = 15.7°, intensity 100; 2θ = 31.4°, intensity 69; 2θ = 27.4°, intensity 59; 2θ = 16.2°, intensity 54; 2θ = 16.7°, intensity 53; 2θ = 12.0°, intensity 44; 2θ = 29.2°, intensity 27; 2θ = 18.4°, intensity 27; 2θ = 20.1°, intensity 27; 2θ = 18.6°, intensity 26; 2θ = 30.8°, intensity 24; 2θ = 34.1°, intensity 20

```
K5Re2N6
1.0
5.535 -3.498 0.000
5.535 3.498 0.000
-2.485 0.000 14.707
K Re N
10 4 12
Direct
0.100 0.900 0.750
0.175 0.701 0.005
0.292 0.406 0.288
0.299 0.825 0.495
0.406 0.292 0.788
0.594 0.708 0.212
0.701 0.175 0.505
0.708 0.594 0.712
0.825 0.299 0.995
0.900 0.100 0.250
0.135 0.415 0.577
0.415 0.135 0.077
0.585 0.865 0.923
0.865 0.585 0.423
0.100 0.224 0.642
0.148 0.315 0.447
0.224 0.100 0.142
0.315 0.148 0.947
0.363 0.488 0.626
0.488 0.363 0.126
0.512 0.637 0.874
0.637 0.512 0.374
0.685 0.852 0.053
0.776 0.900 0.858
0.852 0.685 0.553
0.900 0.776 0.358
```

=====

[1]
For GdHCO4, a structure optimized by DFT (PBE) gives the simulated X-ray powder pattern in this record (Cu Kα (weighted mean of Kα1 and Kα2)).

Structure:
Lattice parameters (Å, degrees): 4.917 7.164 8.611 90.00 90.00 90.00
Space group P2_12_12_1 (No. 19)
One atom of each set of equivalent atoms:
Gd 0.002 0.111 0.162 (multiplicity 4)
H 0.102 0.746 0.030 (multiplicity 4)
C 0.001 0.551 0.672 (multiplicity 4)
O 0.001 0.954 0.702 (multiplicity 4)
O 0.006 0.293 0.383 (multiplicity 4)
O 0.225 0.096 0.896 (multiplicity 4)
O 0.231 0.596 0.608 (multiplicity 4)

Main lines, low angle first (2θ from 10° to 80°):
(0 1 1), 5.508 Å, 2θ = 16.1°, intensity 46
(1 0 1), 4.270 Å, 2θ = 20.8°, intensity 100
(1 1 1), 3.668 Å, 2θ = 24.3°, intensity 52
(0 2 1), 3.307 Å, 2θ = 27.0°, intensity 47
(1 2 0), 2.895 Å, 2θ = 30.9°, intensity 62
(1 1 3), 2.343 Å, 2θ = 38.4°, intensity 47
(2 1 2), 2.046 Å, 2θ = 44.3°, intensity 40
(2 2 1), 1.973 Å, 2θ = 46.0°, intensity 41

---

[2]
For Er2IrPd, a structure optimized by DFT (PBE) gives the simulated X-ray powder pattern in this record (Cu Kα (weighted mean of Kα1 and Kα2)).

Structure:
Lattice parameters (Å, degrees): 6.867 6.867 6.867 90.00 90.00 90.00
Space group Fm-3m (No. 225)
One atom of each set of equivalent atoms:
Er 0.250 0.250 0.250 (multiplicity 8)
Ir 0.000 0.000 0.000 (multiplicity 4)
Pd 0.000 0.000 0.500 (multiplicity 4)

Main lines, low angle first (2θ from 10° to 80°):
(1 1 1), 3.965 Å, 2θ = 22.4°, intensity 4
(2 2 0), 2.428 Å, 2θ = 37.0°, intensity 100
(3 1 1), 2.071 Å, 2θ = 43.7°, intensity 2
(4 0 0), 1.717 Å, 2θ = 53.4°, intensity 18
(3 3 1), 1.575 Å, 2θ = 58.6°, intensity 1
(4 2 2), 1.402 Å, 2θ = 66.7°, intensity 36
(5 1 1), 1.322 Å, 2θ = 71.4°, intensity 1